Fellow LJNA members and Lake Joseph Neighbours
We were thrilled that over 60 families joined in by Zoom to the AGM first thing last Saturday morning. The ‘broadcast’ from Gordon Bay Marine enabled the board members involved in the presentation to work together in a safe space with a solid internet connection. Thank you to Bruce and Gordon Bay Marine for hosting us. While we missed seeing everyone in person, setting up for our meeting felt almost like ‘normal’ times.
I’ve posted the AGM slides to our website as usual. A summary of the meeting including answers to some of the questions is included below.
This AGM, I was sad to announce that Cecil Hayhoe has decided that the time has come to step down from the board. As most of you know, Cecil has been a driving force in the association since the beginning. Cecil led the board’s work in the early days including working out an agreement with Rocky Crest, working to set aside acres of pristine shoreline in the Muskoka Heritage Trust (now the Conservancy) and leadership in building Seguin’s strong Official Plan. Cecil will continue helping with the annual water testing and plans to focus more time on his passion – land trust projects. He has been a trusted coach for me and many other board members. We are going to miss his wise counsel. Please join me in thanking him for his many years of dedication to our lake and our association.
Also, lots is happening is in the community. Links to the Muskoka Conservancy and the CNIB Lake Joe fundraisers are included below.
Please let us know how we are doing and be in touch with any concerns or questions. I can be reached at info@ljna.org.
Best Regards,
**Next to the page, the page also holds quantum chemistry results**
=====
Entry 1:
DFT (ωB97M-V with the def2-TZVPD basis set) results for a cluster of 7 separate species, C25H48N7O18PSi in total at a distorted geometry.

As for the total energy: -3349.147068 a.u. The SMILES is CCOP(=O)(CCC[Si@@H](CC(=O)c1ccccc1)N(C(C)=O)C(C)=O)OCC.C[N+](=O)[O-].C[N+](=O)[O-].C[N+](=O)[O-].C[N+](=O)[O-].C[N+](=O)[O-].C[N+](=O)[O-]. As for the total charge: 0. The HOMO energy is -9.01 eV. The multiplicity is 1. The gap between HOMO and LUMO is 8.255 eV.

Geometry as XYZ:
```
100
Properties=species:S:1:pos:R:3:forces:R:3:lowdin_charge:R:1
C -1.1438 -0.6279 6.1556 0.5329 -0.2606 -0.7559 -0.084
C -2.0026 -1.4387 5.0321 2.4182 0.0544 0.8883 -0.289
O -3.2752 -0.7833 4.7936 1.0207 0.2335 -2.9587 -0.256
P -3.3351 -0.0953 3.2143 -2.1664 0.2898 0.3613 0.706
O -4.7245 0.5022 2.9626 3.1734 -1.4806 0.6166 -0.324
C -1.9658 1.2436 3.1781 -1.2651 -0.5259 -0.3727 -0.226
C -2.5806 2.5384 3.8996 -0.5205 -0.2596 1.3937 -0.266
C -1.4938 3.5157 4.5732 -1.0795 0.6131 -0.0252 -0.269
Si 0.1794 3.6264 3.6515 0.0707 0.4416 1.6181 0.644
C 1.3323 2.2890 4.4064 1.2634 -1.2251 0.2034 -0.194
C 2.8237 2.2888 3.8389 1.2075 1.8456 0.2454 -0.367
O 3.6148 3.2406 4.1169 -2.6936 -3.9485 -1.0649 0.013
C 3.2294 1.0653 2.8918 1.6671 -2.1175 -1.4668 -0.094
C 2.2167 0.3026 1.9736 3.4632 -0.5542 0.4445 -0.034
C 2.7099 -0.8475 1.0524 1.9142 2.1401 2.1864 -0.049
C 4.2152 -1.2454 1.0452 -1.3805 2.3151 1.9166 -0.067
C 5.2254 -0.5273 1.9810 -3.5977 1.1013 -0.0473 -0.059
C 4.7335 0.6320 2.9053 -1.9026 -1.8955 -2.3898 0.003
N -0.0685 3.4864 1.8719 0.5295 2.5243 -0.7877 -0.046
C -0.7854 4.7430 1.4656 -0.8044 2.0938 0.3559 -0.408
C -1.2364 4.9333 -0.0678 0.3396 0.4889 0.5877 -0.011
O -1.0157 5.6775 2.2670 0.5565 -3.4829 -2.1973 0.019
C 1.2058 3.5425 1.1054 2.9570 0.0527 -1.5771 -0.431
C 1.2546 2.6404 -0.2424 -0.8098 0.5303 0.3276 -0.020
O 2.2005 4.2435 1.3878 -3.7594 -2.2458 -0.2903 0.073
O -2.9386 -1.3481 2.1345 -0.9627 2.1212 1.6027 -0.282
C -3.7465 -1.3241 0.9245 0.1767 -1.0918 -2.2000 -0.279
C -3.3337 -2.6696 0.1036 0.9522 0.6787 1.2303 -0.079
H -1.2676 0.5116 6.0224 -0.0927 -1.8097 0.4032 0.069
H -1.3548 -0.9828 7.2173 0.0345 0.7347 -1.4471 0.078
H -0.0214 -0.8289 5.9548 -1.7460 0.1685 0.3480 0.083
H -1.3122 -1.4629 4.1031 -1.4023 0.0304 1.1762 0.106
H -2.0968 -2.5352 5.3621 -0.3858 1.7183 -0.5288 0.131
H -1.7967 1.4668 2.0700 0.1910 -0.4961 1.5688 0.091
H -1.0750 0.7718 3.7091 -0.9678 0.9647 -0.8675 0.059
H -3.3000 3.1480 3.2335 1.3671 -1.2643 0.7541 0.127
H -3.2458 2.1448 4.7621 0.9261 0.6932 -1.3871 0.106
H -1.3398 3.2959 5.6993 -0.0950 0.0875 -1.8627 0.092
H -1.9519 4.5780 4.5480 0.7954 -1.6277 0.0624 0.087
H 0.8092 4.9279 3.9708 0.0399 -0.3069 -0.0409 0.034
H 0.9421 1.2181 4.3336 0.3787 1.4284 0.0637 0.057
H 1.3998 2.5260 5.5365 -0.0907 -0.1347 -1.7915 0.114
H 1.1177 0.6487 2.0150 1.9005 -0.8081 -0.2453 0.084
H 1.9285 -1.3480 0.3775 1.5405 0.7139 1.0725 0.082
H 4.5416 -2.0818 0.3257 -0.4577 1.5602 1.3998 0.093
H 6.3320 -0.8329 1.9836 -1.9752 0.5319 -0.0241 0.096
=====
Nancy Cohen
President, LJNA
Association Business
- The Presidents’ Report included highlights from last year, goals for the coming year, an overview of our decision to launch an LPAT appeal and an update on the Fireboat project. There were lots of questions on the Fireboat. If you have more questions, please get in touch with Diana Piquette at diana@dunsolas.com. Here’s an FAQ prepared by the Fireboat committee. We will be creating a page on our website with more information shortly.
- It turns out that I skipped over one slide entirely: an overview of our survey results. We are very pleased to have over 200 responses. Overall the results show a strong vote of confidence in the Board’s work with 33% of respondents Satisfied and 60% Very Satisfied. There were many insightful comments and suggestions. Frequent topics were: PWC’s, landscape lights at night, boat speed and noise, boat wakes, and development. We will use these results to drive our priorities.
- This was followed by the Treasurer’s report. Shelley Spence presented financial results and budget plan for the coming year. (postscript: Not knowing how Covid would affect our membership, we budgeted for 150 members and, as of today, I am happy to report that we are at 150 –at least. Thank you to everyone who has renewed! )
- Last in the AGM business section was the election of the Board. We used the Zoom polling feature and we very pleased to see 100% of the votes in favour of the slate. Thank you for your trust.
- We then turned to the Municipal Update. James Buchanan presented an overview of our discussion paper on key Official Plan issues. We have that submitted this paper to the OP Review committee to provide constructive input on key issues affecting our shoreline community. Please get in touch with James (jbuchanan@rockledges.com) with your ideas and questions on this. The town is looking for input from all of us.
Details, as mentioned above, can be found in the AGM slides posted to our website.
Seguin Township Update – Mayor MacDiarmid
Mayor MacDiarmid’s presentation covered recent activities of council and staff and on how the township activities has been affected by Covid. Several items drew questions & I promised to follow up with links to more information:
- Garbage: During Covid, Seguin residents have generated 3 times more garbage than usual. There were questions on the hours and location of the landfill site and the recycling handbook. Here’s a link to more information. Some waste management activities are changed during Covid. Please check this page for details.
- High Speed Broadband: Seguin announced a new partnership to bring high speed broadband to 4,700 homes within an 8 km radius of two new towers. One tower will be located near Otter Lake and the other in Humphrey. More information HERE.
- New Fireworks by-law: Fireworks are no longer permitted when the Fire Rating is High or Extreme. Fines are set by the province. You can report violations to the Bylaw officers.
- Short Term Rentals: Mayor MacDiarmid explained the focus and intent of the proposed bylaw and invited comment. More information at www.seguin.ca/stcr or through the Planning Department at (705) 732-4300. The public commenting period runs through the summer until August 21, 2020.
Safe Quiet Lakes – Decibel Coalition
- Rob Bosomworth, Chair of the Decibel Coalition reviewed the goals and progress to date for this project. They are developing a broad coalition of stakeholder associations across Canada to advocate for enhanced muffler regulations that include decibel limits. He thanked the LJNA and members for their support of this initiative and offered to test boats for compliance with the proposed standards. He can be reached at outreach@safequiet.ca.
Dock Drop:
Our summer newsletter was hand delivered to docks on North Lake Joe on the July long weekend. If you missed it, you can check it out online at https://ljna.org/Newsletters/. A big thank you to the great group of volunteers who helped out with this.
If you have yet to renew your membership, You can renew online at: https://ljna.org/join-us. A reminder that if you are paying by etransfer, please include your name and/or lake address in the memo field so we can be sure to credit the right account
## Molecular data, as found in the file
____________
1.
Formula: C18H27NO3P
Source: OMol25
Level of theory: ωB97M-V/def2-TZVPD

```
50
Properties=species:S:1:pos:R:3:forces:R:3
C -1.814058 1.381199 3.865344 -0.103 -0.103 0.126
C -2.831537 1.049796 3.318140 0.093 0.285 -0.416
C -3.975915 0.713137 2.462437 0.695 -0.080 0.494
P -3.569693 -0.439211 1.046030 -0.337 -0.401 -0.323
C -2.276189 -1.496944 1.820835 -0.148 0.090 -0.021
C -1.827495 -2.634167 0.900003 0.217 -0.159 0.304
C -1.138455 -3.761220 1.686233 0.039 0.259 0.278
O 0.279921 -3.699162 1.564158 0.000 -0.172 -0.077
C -2.678580 0.580818 -0.221676 0.123 0.592 0.258
C -2.309739 2.045869 0.147487 0.311 0.186 -0.054
C -0.878822 2.362540 -0.264602 0.342 0.427 -0.113
O -0.603462 2.638633 -1.405252 -0.038 -0.253 -0.103
N 0.094384 2.350494 0.748884 -0.543 -0.929 0.092
C 1.255201 1.493453 0.550001 0.170 0.525 -0.164
C 2.495734 2.071624 0.334978 0.232 0.126 0.084
C 3.635290 1.285965 0.234520 -0.214 -0.017 0.056
C 3.527941 -0.091409 0.338343 -0.037 -0.177 -0.072
C 2.281442 -0.676475 0.498208 0.025 0.105 0.147
C 1.144060 0.114625 0.607453 0.095 -0.196 0.077
H -0.922332 1.664006 4.372704 -0.029 -0.027 0.029
H -4.403713 1.641234 2.083893 -0.214 -0.105 -0.075
H -4.719411 0.185524 3.060952 -0.156 0.100 -0.091
H -2.771892 -1.935944 2.694502 -0.034 0.043 0.014
H -1.435490 -0.917105 2.205111 0.087 -0.002 -0.060
H -2.682541 -3.040093 0.355909 -0.032 0.058 -0.034
H -1.090842 -2.281283 0.175560 -0.143 0.011 -0.153
H -1.481941 -4.743355 1.356431 0.165 0.000 -0.185
H -1.400795 -3.679686 2.746379 -0.139 -0.067 -0.027
H 0.656820 -3.377955 2.385962 0.001 0.073 -0.040
H -3.343726 0.619797 -1.082205 0.020 -0.080 -0.040
H -1.784591 0.060494 -0.572090 -0.042 -0.209 0.140
H -2.936478 2.727423 -0.425206 -0.107 0.027 0.133
H -2.412755 2.260704 1.209004 -0.159 -0.033 0.006
H -0.328437 2.137612 1.644323 -0.031 -0.026 -0.004
H 2.573190 3.148085 0.255979 -0.089 0.005 -0.006
H 4.598092 1.750903 0.082614 -0.001 -0.029 -0.138
H 4.401061 -0.725290 0.272976 0.047 0.094 -0.141
H 2.186023 -1.753096 0.557421 -0.021 -0.021 -0.077
H 0.187932 -0.373780 0.742832 -0.152 0.120 0.013
C 2.656883 -0.996287 -4.352354 -0.405 -0.230 -0.031
C 2.635376 0.064527 -3.225368 0.542 0.299 -0.519
C 1.899167 1.310165 -3.765092 -0.427 -0.053 -0.007
O 3.883554 0.370941 -2.820406 -0.072 -0.158 0.432
H 3.221401 -0.619196 -5.210118 0.075 0.064 0.054
H 3.138356 -1.911471 -3.997843 0.072 0.050 0.034
H 1.643165 -1.259537 -4.697436 0.039 0.003 0.006
H 1.955595 -0.365420 -2.432488 0.088 0.010 0.122
H 2.451476 1.728379 -4.612379 0.103 -0.035 0.028
H 1.825152 2.072200 -2.987216 0.062 -0.014 0.022
H 0.875549 1.079712 -4.101672 0.029 0.024 0.020
```
Forces are in eV/Å.

For the strongest force on any atom, the calculation gives 0.021 Eh/bohr. The calculation puts the LUMO energy at 2.38 eV. As for the total charge: -1. The total energy comes out at -1323.8147 Ha. As for the HOMO-LUMO gap: 4.7 eV.

Mulliken atomic charge list, values in e, 5 entries: C -0.11; C -0.12; C -1.06; P -0.24; C -0.93

---

2.
Formula: C18H27O10
____________
Lost and Found
Judy Braaten reports: they have lost a beige air mattress (queen or king size) off our dock last week. Please be in touch if you found it at: judy.braaten47@gmail.com.
Brian McGoey reports: Attached is a picture of a lounger and matching table we found floating in the lake. Also we lost a 10 by 10 yellow plastic floating dock from our property this spring. Get in touch at bvmcgoey@yahoo.com.
The Lake associations have been asked to send out these links to our members. Your input is requested in these important issues:
Seguin Official Plan Review - Public Engagement
Public engagement is critical to shaping a plan that suits everyone's needs and desires. Your voice is important, and the township would like to hear from you!
Seguin has announced an open house to allow the public to review and ask questions regarding official plan polices as part of the Five Year Official Plan Review.
Date: Monday, August 24th, 2020 Time: To be launched at 10 AM
Location: Held virtually at www.seguinopr.com
The feedback collected through the public engagement process will be used to inform our decision-making. Please visit seguinopr.com or seguin.ca/officialplan to learn more.
Request for Community Input for Short-Term Accommodation/Short-Term Cottage Rental Study
The Corporation of the Township of Seguin is requesting comments from the public regarding Short-Term Accommodation/Short-Term Cottage Rentals (STA/STCR). Additional information can be found on the Seguin township website at www.seguin.ca/stcr or through the Planning Department at (705) 732-4300.
The public commenting period runs through the summer until August 21, 2020.
Muskoka on the Edge…of Your Dock! AUG. 9 - 5 to 7 - TODAY!
Muskoka Conservancy’s Muskoka On The Edge party fundraising event has been postponed. Instead, we invite you to stay safe, make your own party on your dock and support the Muskoka Conservancy’s vital work with a donation of $100 or more. You will get access to our online Auction featuring many unique Muskoka items as well as a fun Muskoka Quiz and our signature Muskoka Dock Party Kit. Help the Muskoka Conservancy protect the Muskoka that is now protecting you. Click HERE to find out more and make your donation.
CNIB Lake Joe: Dock-to-Dock: Party with a Purpose - Sat, Aug 15
Gather your family or closest friends, make your favourite "docktail", and get ready for a docking good time as you help raise funds at our first ever virtual CNIB Lake Joe event, Dock-to-Dock: Party with a Purpose, on Saturday, August 15, from 3-6 p.m.
CLICK HERE for more information & to register.
In response to member concerns across south central Ontario, FOCA's hosted a webinar on gypsy moths. A link to the seminar and more information can be found on Seguin’s Website: https://www.seguin.ca/en/explore-play/gypsymoth.aspx
Click HERE for more information and the full Elert from FOCA.